Request:
Your job: restate the notes below from the first line to the one with "-3.64" without altering anything.

Listing:
# 1
Here is a structure of composition C48H39Cl2CuF12N9O22S4 at a distorted geometry from OMol25. Energies are from ωB97M-V/def2-TZVPD.

Each line ends with the Löwdin spin population.
Geometry (Å):
Cu  -2.12  -0.29  1.21  0.82
Cl  7.04  -0.12  -0.76  0.00
Cl  4.40  -3.17  0.68  0.00
S  -4.97  -0.91  1.32  0.01
S  0.80  -1.99  0.51  0.00
S  -1.14  -2.72  -0.88  0.00
S  -4.96  1.77  1.68  0.00
F  -1.65  -5.33  -0.54  0.00
F  -1.62  -4.26  1.31  0.00
F  0.85  0.26  1.85  0.00
F  -3.55  2.82  -0.34  0.00
F  -4.94  4.19  0.59  0.00
F  -3.28  -4.00  -0.04  0.00
F  -5.62  2.57  -0.78  0.00
F  -7.20  -1.65  0.02  0.00
F  -6.11  -0.12  -1.02  0.00
F  -5.38  -2.10  -0.98  0.00
F  0.88  -1.56  3.11  0.00
F  2.66  -0.93  2.21  0.00
O  -1.43  -0.48  5.42  0.00
O  -4.38  2.40  2.84  0.00
O  -6.39  1.51  1.75  0.01
O  -0.16  -3.37  -1.72  0.01
O  -1.35  1.78  2.12  0.00
O  1.78  0.49  -4.33  0.00
O  -3.89  -1.88  1.22  0.03
O  1.57  -1.45  -0.59  0.00
O  0.61  -1.20  -3.78  0.00
O  -3.19  -3.63  -9.40  0.00
O  -2.17  -2.08  -1.68  0.00
O  4.57  5.62  0.06  0.00
O  -1.55  0.90  -0.60  0.01
O  -0.63  2.58  3.96  0.00
O  6.19  3.71  7.73  0.00
O  -1.25  -4.00  -8.57  0.00
O  5.27  2.37  9.11  0.00
O  -5.80  -1.02  2.49  0.00
O  0.07  1.81  -1.67  0.00
O  1.10  -3.36  0.82  0.00
O  5.80  4.28  1.27  0.00
O  -1.93  -0.93  3.38  0.01
N  -2.40  -3.60  -8.48  0.00
N  1.66  -0.69  -4.09  0.00
N  -4.02  0.52  1.14  0.05
N  5.37  2.87  8.01  0.00
N  4.98  4.52  0.42  0.00
N  -2.08  -1.05  4.58  0.00
N  -0.73  2.62  2.76  0.00
N  -0.75  -1.63  0.46  0.03
N  -1.04  1.34  -1.62  0.00
C  1.32  5.63  0.62  0.00
C  0.84  4.50  2.73  0.00
C  5.17  -2.90  -3.92  0.00
C  -3.89  0.83  -4.07  0.00
C  3.76  3.53  -1.52  0.00
C  -3.12  -1.94  5.11  0.00
C  5.22  -1.65  -4.47  0.00
C  -1.98  -4.17  0.03  0.00
C  4.13  2.07  4.61  0.00
C  4.56  2.31  6.93  0.00
C  4.27  3.39  -0.22  0.00
C  -3.87  -1.57  6.19  0.00
C  0.34  4.87  -0.02  0.00
C  2.75  1.30  -1.22  0.00
C  -4.89  -2.38  6.67  0.00
C  -3.13  0.85  -2.89  0.00
C  3.31  1.74  7.20  0.00
C  -5.12  -3.61  6.06  0.00
C  -1.78  1.22  -2.87  0.00
C  1.41  5.53  1.99  0.00
C  2.99  2.45  -1.96  0.00
C  -1.83  1.38  -5.28  0.00
C  -2.29  -2.32  -4.95  0.00
C  2.87  -1.53  -4.16  0.00
C  -4.17  -3.28  -6.81  0.00
C  6.16  -1.14  0.41  0.00
C  2.47  1.38  6.16  0.00
C  -1.23  1.66  -4.07  0.00
C  4.02  -0.94  -4.66  0.00
C  -3.16  1.02  -5.22  0.00
C  0.00  3.63  2.03  0.00
C  2.95  1.43  4.85  0.00
C  -4.78  2.95  0.18  0.00
C  -0.29  3.87  0.69  0.00
C  2.78  -2.85  -3.75  0.00
C  -2.86  -3.12  -7.18  0.00
C  -1.91  -2.67  -6.25  0.00
C  -3.61  -2.55  -4.58  0.00
C  -4.55  -2.97  -5.51  0.00
C  -4.40  -3.96  4.93  0.00
C  4.17  2.19  0.47  0.00
C  5.01  2.44  5.63  0.00
C  1.34  -0.96  2.02  0.00
C  3.41  1.14  -0.03  0.00
C  -3.43  -3.11  4.40  0.00
C  -6.02  -1.19  -0.28  0.00
C  5.11  -1.87  -0.36  0.00
C  3.95  -3.57  -3.69  0.00
H  6.07  -3.51  -3.81  0.00
H  -0.85  -2.59  -6.45  0.00
H  5.96  2.86  5.33  0.00
H  -1.59  -2.14  -4.16  0.00
H  2.54  2.57  -2.94  0.00
H  1.01  4.43  3.79  0.00
H  5.80  -0.41  1.13  0.00
H  1.91  6.39  0.12  0.00
H  -5.87  -4.24  6.51  0.00
H  4.69  2.06  1.41  0.00
H  3.01  1.67  8.23  0.00
H  -5.44  -1.96  7.50  0.00
H  -3.94  -2.30  -3.58  0.00
H  3.96  0.05  -5.09  0.00
H  6.90  -1.83  0.81  0.00
H  -2.82  -3.50  3.60  0.00
H  3.38  0.22  0.53  0.00
H  -3.52  0.44  -1.96  0.00
H  1.86  -3.34  -3.44  0.00
H  -4.50  -4.94  4.48  0.00
H  -0.17  1.89  -4.14  0.00
H  2.16  0.53  -1.69  0.00
H  6.19  -1.25  -4.72  0.00
H  -3.55  -0.72  6.80  0.00
H  -5.51  -3.12  -5.02  0.00
H  2.02  6.20  2.59  0.00
H  -1.19  1.39  -6.14  0.00
H  0.21  5.08  -1.08  0.00
H  -1.16  3.40  0.26  0.00
H  5.47  -2.37  -1.26  0.00
H  -3.74  0.95  -6.14  0.00
H  4.32  -1.25  -0.79  0.00
H  4.48  2.23  3.59  0.00
H  4.00  -4.57  -3.28  0.00
H  3.85  4.44  -2.08  0.00
H  -4.86  0.35  -4.04  0.00
H  1.50  0.98  6.45  0.00
H  -4.98  -3.64  -7.44  0.00
H  2.40  1.10  3.97  0.00

Response:
# 1
Here is a structure of composition C48H39Cl2CuF12N9O22S4 at a distorted geometry from OMol25. Energies are from ωB97M-V/def2-TZVPD.

Each line ends with the Löwdin spin population.
Geometry (Å):
Cu  -2.12  -0.29  1.21  0.82
Cl  7.04  -0.12  -0.76  0.00
Cl  4.40  -3.17  0.68  0.00
S  -4.97  -0.91  1.32  0.01
S  0.80  -1.99  0.51  0.00
S  -1.14  -2.72  -0.88  0.00
S  -4.96  1.77  1.68  0.00
F  -1.65  -5.33  -0.54  0.00
F  -1.62  -4.26  1.31  0.00
F  0.85  0.26  1.85  0.00
F  -3.55  2.82  -0.34  0.00
F  -4.94  4.19  0.59  0.00
F  -3.28  -4.00  -0.04  0.00
F  -5.62  2.57  -0.78  0.00
F  -7.20  -1.65  0.02  0.00
F  -6.11  -0.12  -1.02  0.00
F  -5.38  -2.10  -0.98  0.00
F  0.88  -1.56  3.11  0.00
F  2.66  -0.93  2.21  0.00
O  -1.43  -0.48  5.42  0.00
O  -4.38  2.40  2.84  0.00
O  -6.39  1.51  1.75  0.01
O  -0.16  -3.37  -1.72  0.01
O  -1.35  1.78  2.12  0.00
O  1.78  0.49  -4.33  0.00
O  -3.89  -1.88  1.22  0.03
O  1.57  -1.45  -0.59  0.00
O  0.61  -1.20  -3.78  0.00
O  -3.19  -3.63  -9.40  0.00
O  -2.17  -2.08  -1.68  0.00
O  4.57  5.62  0.06  0.00
O  -1.55  0.90  -0.60  0.01
O  -0.63  2.58  3.96  0.00
O  6.19  3.71  7.73  0.00
O  -1.25  -4.00  -8.57  0.00
O  5.27  2.37  9.11  0.00
O  -5.80  -1.02  2.49  0.00
O  0.07  1.81  -1.67  0.00
O  1.10  -3.36  0.82  0.00
O  5.80  4.28  1.27  0.00
O  -1.93  -0.93  3.38  0.01
N  -2.40  -3.60  -8.48  0.00
N  1.66  -0.69  -4.09  0.00
N  -4.02  0.52  1.14  0.05
N  5.37  2.87  8.01  0.00
N  4.98  4.52  0.42  0.00
N  -2.08  -1.05  4.58  0.00
N  -0.73  2.62  2.76  0.00
N  -0.75  -1.63  0.46  0.03
N  -1.04  1.34  -1.62  0.00
C  1.32  5.63  0.62  0.00
C  0.84  4.50  2.73  0.00
C  5.17  -2.90  -3.92  0.00
C  -3.89  0.83  -4.07  0.00
C  3.76  3.53  -1.52  0.00
C  -3.12  -1.94  5.11  0.00
C  5.22  -1.65  -4.47  0.00
C  -1.98  -4.17  0.03  0.00
C  4.13  2.07  4.61  0.00
C  4.56  2.31  6.93  0.00
C  4.27  3.39  -0.22  0.00
C  -3.87  -1.57  6.19  0.00
C  0.34  4.87  -0.02  0.00
C  2.75  1.30  -1.22  0.00
C  -4.89  -2.38  6.67  0.00
C  -3.13  0.85  -2.89  0.00
C  3.31  1.74  7.20  0.00
C  -5.12  -3.61  6.06  0.00
C  -1.78  1.22  -2.87  0.00
C  1.41  5.53  1.99  0.00
C  2.99  2.45  -1.96  0.00
C  -1.83  1.38  -5.28  0.00
C  -2.29  -2.32  -4.95  0.00
C  2.87  -1.53  -4.16  0.00
C  -4.17  -3.28  -6.81  0.00
C  6.16  -1.14  0.41  0.00
C  2.47  1.38  6.16  0.00
C  -1.23  1.66  -4.07  0.00
C  4.02  -0.94  -4.66  0.00
C  -3.16  1.02  -5.22  0.00
C  0.00  3.63  2.03  0.00
C  2.95  1.43  4.85  0.00
C  -4.78  2.95  0.18  0.00
C  -0.29  3.87  0.69  0.00
C  2.78  -2.85  -3.75  0.00
C  -2.86  -3.12  -7.18  0.00
C  -1.91  -2.67  -6.25  0.00
C  -3.61  -2.55  -4.58  0.00
C  -4.55  -2.97  -5.51  0.00
C  -4.40  -3.96  4.93  0.00
C  4.17  2.19  0.47  0.00
C  5.01  2.44  5.63  0.00
C  1.34  -0.96  2.02  0.00
C  3.41  1.14  -0.03  0.00
C  -3.43  -3.11  4.40  0.00
C  -6.02  -1.19  -0.28  0.00
C  5.11  -1.87  -0.36  0.00
C  3.95  -3.57  -3.69  0.00
H  6.07  -3.51  -3.81  0.00
H  -0.85  -2.59  -6.45  0.00
H  5.96  2.86  5.33  0.00
H  -1.59  -2.14  -4.16  0.00
H  2.54  2.57  -2.94  0.00
H  1.01  4.43  3.79  0.00
H  5.80  -0.41  1.13  0.00
H  1.91  6.39  0.12  0.00
H  -5.87  -4.24  6.51  0.00
H  4.69  2.06  1.41  0.00
H  3.01  1.67  8.23  0.00
H  -5.44  -1.96  7.50  0.00
H  -3.94  -2.30  -3.58  0.00
H  3.96  0.05  -5.09  0.00
H  6.90  -1.83  0.81  0.00
H  -2.82  -3.50  3.60  0.00
H  3.38  0.22  0.53  0.00
H  -3.52  0.44  -1.96  0.00
H  1.86  -3.34  -3.44  0.00
H  -4.50  -4.94  4.48  0.00
H  -0.17  1.89  -4.14  0.00
H  2.16  0.53  -1.69  0.00
H  6.19  -1.25  -4.72  0.00
H  -3.55  -0.72  6.80  0.00
H  -5.51  -3.12  -5.02  0.00
H  2.02  6.20  2.59  0.00
H  -1.19  1.39  -6.14  0.00
H  0.21  5.08  -1.08  0.00
H  -1.16  3.40  0.26  0.00
H  5.47  -2.37  -1.26  0.00
H  -3.74  0.95  -6.14  0.00
H  4.32  -1.25  -0.79  0.00
H  4.48  2.23  3.59  0.00
H  4.00  -4.57  -3.28  0.00
H  3.85  4.44  -2.08  0.00
H  -4.86  0.35  -4.04  0.00
H  1.50  0.98  6.45  0.00
H  -4.98  -3.64  -7.44  0.00